**Activity:**
Please duplicate the whole of the calculation results below word for word.

**Listing:**
<<<
FeAsSe2F after structural relaxation, computed with PBE+U.

abc: 4.727 4.727 4.795
angles: 90.00 90.00 90.00
Atoms (fractional coordinates):
Se1 0.500 0.000 0.000
Se2 0.000 0.500 0.000
Fe1 0.000 0.000 0.000
As1 0.000 0.000 0.500
F1 0.500 0.500 0.500

Output
Density of states at the Fermi level, states/eV/cell: 4.4
Energy, eV per atom: -3.44
Size of the total moment, Bohr magnetons per cell: 4.0

=====

Record 1
The following is a PBE-GGA calculation of crystalline Gd5Ni2Te2 at its relaxed geometry, from the Open Quantum Materials Database.

abc: 7.820 7.820 15.053
angles: 90.00 90.00 150.30
Atoms (fractional coordinates):
Gd1 0.040 0.960 0.624
Gd2 0.040 0.960 0.876
Gd3 0.259 0.741 0.127
Gd4 0.259 0.741 0.373
Gd5 0.394 0.606 0.750
Gd6 0.606 0.394 0.250
Gd7 0.741 0.259 0.627
Gd8 0.741 0.259 0.873
Gd9 0.960 0.040 0.124
Gd10 0.960 0.040 0.376
Ni1 0.186 0.814 0.750
Ni2 0.412 0.588 0.250
Ni3 0.588 0.412 0.750
Ni4 0.814 0.186 0.250
Te1 0.385 0.615 0.540
Te2 0.385 0.615 0.960
Te3 0.615 0.385 0.040
Te4 0.615 0.385 0.460



Record 2
The following is a PBE-GGA calculation of crystalline GdTlNiTe3 at its relaxed geometry, from the Open Quantum Materials Database.

abc: 12.596 4.264 12.764
angles: 90.00 90.00 90.00
Atoms (fractional coordinates):
Gd1 0.040 0.250 0.192
Gd2 0.460 0.750 0.692
Gd3 0.540 0.250 0.308
Gd4 0.960 0.750 0.808
Tl1 0.196 0.250 0.499
Tl2 0.304 0.750 0.999
Tl3 0.696 0.250 0.001
Tl4 0.804 0.750 0.501
Ni1 0.234 0.750 0.318
Ni2 0.266 0.250 0.818
Ni3 0.734 0.750 0.182
Ni4 0.766 0.250 0.682
Te1 0.037 0.750 0.363
Te2 0.097 0.250 0.935
Te3 0.213 0.750 0.722
Te4 0.287 0.250 0.222
Te5 0.403 0.750 0.435
Te6 0.463 0.250 0.863
Te7 0.537 0.750 0.137
Te8 0.597 0.250 0.565
Te9 0.713 0.750 0.778
Te10 0.787 0.250 0.278
Te11 0.903 0.750 0.065
Te12 0.963 0.250 0.637



Number 1: DFT total energy -0.1961 Ha/atom. Number 2: DFT total energy -0.1584 Ha/atom.

=====

## FeHgSbIr (PBE-GGA)

Data for an optimized crystal structure of FeHgSbIr.

Output
Raw total energy (eV per atom): -5.00
V (Å³/atom): 17.35
Space group: No. 216
ΔE to the lowest computed polymorph (meV per atom): 0
Crystal system: cubic

Cell lengths 4.613, 4.613, 4.613 Å; angles 60.00, 60.00, 60.00 degrees
Fractional positions:
Fe 0.000 0.000 0.000
Hg 0.250 0.250 0.250
Sb 0.750 0.750 0.750
Ir 0.500 0.500 0.500

=====

(1)
First-principles (PBE) data for TbEr2Ga after structural relaxation, as listed in Alexandria via LeMat-Bulk.

Cell and atoms, written as POSCAR:
```
TbEr2Ga
1.0
-1.964 3.131 -2.012
-3.680 -5.076 0.099
-3.589 2.755 7.789
Er Ga Tb
4 2 2
direct
0.644 0.288 0.057
0.356 0.712 0.557
0.644 0.288 0.443
0.356 0.712 0.943
0.253 0.507 0.250
0.747 0.493 0.750
0.940 0.881 0.250
0.060 0.119 0.750
```

D(E_F) (states/eV/cell): 11.72
DFT total energy (eV/atom): -4.45
Relative energy among the computed polymorphs (meV per atom): 34
M_tot (μB/atom): 0.00
DFT formation energy (eV/atom): -0.252
ρ (g/cm³): 8.4

---

(2)
First-principles (PBE) data for Na2NbPbS4 after structural relaxation, as listed in Alexandria via LeMat-Bulk.

Cell and atoms, written as POSCAR:
```
Na2NbPbS4
1.0
6.554 0.000 0.000
0.000 7.318 0.000
0.000 0.000 9.617
S Na Nb Pb
8 4 2 2
direct
0.376 0.195 0.000
0.910 0.299 0.798
0.876 0.805 0.500
0.410 0.701 0.298
0.884 0.860 0.000
0.384 0.140 0.500
0.410 0.701 0.702
0.910 0.299 0.202
0.480 0.326 0.741
0.480 0.326 0.259
0.980 0.674 0.759
0.980 0.674 0.241
0.017 0.158 0.000
0.517 0.842 0.500
0.444 0.832 0.000
0.944 0.168 0.500
```

D(E_F) (states/eV/cell): 4.38
DFT total energy (eV/atom): -4.96
M_tot (μB/atom): 0.02
ρ (g/cm³): 3.4

---

(3)
First-principles (PBE) data for U2GaSi4Rh3 after structural relaxation, as listed in Alexandria via LeMat-Bulk.

Cell and atoms, written as POSCAR:
```
U2GaSi4Rh3
1.0
-0.861 3.294 2.268
1.279 -1.972 3.348
9.320 3.477 -1.512
U Si Rh Ga
2 4 3 1
direct
0.500 0.000 0.243
0.000 0.500 0.757
0.500 0.500 0.000
0.500 0.000 0.643
0.000 0.000 0.000
0.000 0.500 0.357
0.500 0.000 0.875
0.000 0.500 0.125
0.000 0.000 0.500
0.500 0.500 0.500
>>>

**Here it is:**
FeAsSe2F after structural relaxation, computed with PBE+U.

abc: 4.727 4.727 4.795
angles: 90.00 90.00 90.00
Atoms (fractional coordinates):
Se1 0.500 0.000 0.000
Se2 0.000 0.500 0.000
Fe1 0.000 0.000 0.000
As1 0.000 0.000 0.500
F1 0.500 0.500 0.500

Output
Density of states at the Fermi level, states/eV/cell: 4.4
Energy, eV per atom: -3.44
Size of the total moment, Bohr magnetons per cell: 4.0

=====

Record 1
The following is a PBE-GGA calculation of crystalline Gd5Ni2Te2 at its relaxed geometry, from the Open Quantum Materials Database.

abc: 7.820 7.820 15.053
angles: 90.00 90.00 150.30
Atoms (fractional coordinates):
Gd1 0.040 0.960 0.624
Gd2 0.040 0.960 0.876
Gd3 0.259 0.741 0.127
Gd4 0.259 0.741 0.373
Gd5 0.394 0.606 0.750
Gd6 0.606 0.394 0.250
Gd7 0.741 0.259 0.627
Gd8 0.741 0.259 0.873
Gd9 0.960 0.040 0.124
Gd10 0.960 0.040 0.376
Ni1 0.186 0.814 0.750
Ni2 0.412 0.588 0.250
Ni3 0.588 0.412 0.750
Ni4 0.814 0.186 0.250
Te1 0.385 0.615 0.540
Te2 0.385 0.615 0.960
Te3 0.615 0.385 0.040
Te4 0.615 0.385 0.460



Record 2
The following is a PBE-GGA calculation of crystalline GdTlNiTe3 at its relaxed geometry, from the Open Quantum Materials Database.

abc: 12.596 4.264 12.764
angles: 90.00 90.00 90.00
Atoms (fractional coordinates):
Gd1 0.040 0.250 0.192
Gd2 0.460 0.750 0.692
Gd3 0.540 0.250 0.308
Gd4 0.960 0.750 0.808
Tl1 0.196 0.250 0.499
Tl2 0.304 0.750 0.999
Tl3 0.696 0.250 0.001
Tl4 0.804 0.750 0.501
Ni1 0.234 0.750 0.318
Ni2 0.266 0.250 0.818
Ni3 0.734 0.750 0.182
Ni4 0.766 0.250 0.682
Te1 0.037 0.750 0.363
Te2 0.097 0.250 0.935
Te3 0.213 0.750 0.722
Te4 0.287 0.250 0.222
Te5 0.403 0.750 0.435
Te6 0.463 0.250 0.863
Te7 0.537 0.750 0.137
Te8 0.597 0.250 0.565
Te9 0.713 0.750 0.778
Te10 0.787 0.250 0.278
Te11 0.903 0.750 0.065
Te12 0.963 0.250 0.637



Number 1: DFT total energy -0.1961 Ha/atom. Number 2: DFT total energy -0.1584 Ha/atom.

=====

## FeHgSbIr (PBE-GGA)

Data for an optimized crystal structure of FeHgSbIr.

Output
Raw total energy (eV per atom): -5.00
V (Å³/atom): 17.35
Space group: No. 216
ΔE to the lowest computed polymorph (meV per atom): 0
Crystal system: cubic

Cell lengths 4.613, 4.613, 4.613 Å; angles 60.00, 60.00, 60.00 degrees
Fractional positions:
Fe 0.000 0.000 0.000
Hg 0.250 0.250 0.250
Sb 0.750 0.750 0.750
Ir 0.500 0.500 0.500

=====

(1)
First-principles (PBE) data for TbEr2Ga after structural relaxation, as listed in Alexandria via LeMat-Bulk.

Cell and atoms, written as POSCAR:
```
TbEr2Ga
1.0
-1.964 3.131 -2.012
-3.680 -5.076 0.099
-3.589 2.755 7.789
Er Ga Tb
4 2 2
direct
0.644 0.288 0.057
0.356 0.712 0.557
0.644 0.288 0.443
0.356 0.712 0.943
0.253 0.507 0.250
0.747 0.493 0.750
0.940 0.881 0.250
0.060 0.119 0.750
```

D(E_F) (states/eV/cell): 11.72
DFT total energy (eV/atom): -4.45
Relative energy among the computed polymorphs (meV per atom): 34
M_tot (μB/atom): 0.00
DFT formation energy (eV/atom): -0.252
ρ (g/cm³): 8.4

---

(2)
First-principles (PBE) data for Na2NbPbS4 after structural relaxation, as listed in Alexandria via LeMat-Bulk.

Cell and atoms, written as POSCAR:
```
Na2NbPbS4
1.0
6.554 0.000 0.000
0.000 7.318 0.000
0.000 0.000 9.617
S Na Nb Pb
8 4 2 2
direct
0.376 0.195 0.000
0.910 0.299 0.798
0.876 0.805 0.500
0.410 0.701 0.298
0.884 0.860 0.000
0.384 0.140 0.500
0.410 0.701 0.702
0.910 0.299 0.202
0.480 0.326 0.741
0.480 0.326 0.259
0.980 0.674 0.759
0.980 0.674 0.241
0.017 0.158 0.000
0.517 0.842 0.500
0.444 0.832 0.000
0.944 0.168 0.500
```

D(E_F) (states/eV/cell): 4.38
DFT total energy (eV/atom): -4.96
M_tot (μB/atom): 0.02
ρ (g/cm³): 3.4

---

(3)
First-principles (PBE) data for U2GaSi4Rh3 after structural relaxation, as listed in Alexandria via LeMat-Bulk.

Cell and atoms, written as POSCAR:
```
U2GaSi4Rh3
1.0
-0.861 3.294 2.268
1.279 -1.972 3.348
9.320 3.477 -1.512
U Si Rh Ga
2 4 3 1
direct
0.500 0.000 0.243
0.000 0.500 0.757
0.500 0.500 0.000
0.500 0.000 0.643
0.000 0.000 0.000
0.000 0.500 0.357
0.500 0.000 0.875
0.000 0.500 0.125
0.000 0.000 0.500
0.500 0.500 0.500